• Contents:
[1]
{
  "formula": "CH6N4",
  "method": "ωB97M-V with the def2-TZVPD basis set",
  "elements": ["C", "N", "N", "N", "N", "H", "H", "H", "H", "H", "H"],
  "positions_angstrom": [[-1.092, -0.072, -1.016], [2.876, 0.225, 0.631], [-0.727, 0.452, 0.278], [-2.753, -0.766, 0.842], [-1.818, -0.184, 0.204], [-0.593, -0.922, -1.602], [2.824, 0.923, -0.124], [-1.559, 0.739, -1.603], [2.295, 0.538, 1.360], [3.928, 0.184, 0.903], [-3.381, -1.117, 0.126]],
  "atomic_forces_ev_per_a": [[-0.9, 0.7, -2.5], [3.2, -0.2, -1.5], [0.2, -0.4, 1.9], [0.7, 1.1, 0.1], [0.3, -1.4, -0.1], [-0.6, 1.1, 1.4], [0.0, -0.5, 0.5], [0.4, -0.8, -0.6], [-0.5, 0.5, 1.3], [-2.8, 0.2, -0.3], [0.0, -0.2, -0.1]],
  "nbo_charge": [-0.149, -1.080, -0.234, -0.465, 0.151, 0.199, 0.354, 0.169, 0.365, 0.360, 0.328],
  "homo_lumo_gap_ev": 10.35,
  "total_charge": 0,
  "largest_force_ev_per_a": 3.6,
  "e_above_lowest_ev": 3.780,
  "spin_multiplicity": 1,
  "e_tot_ha": -260.56290
}

[2]
{
  "formula": "CH6N4O",
  "method": "ωB97M-V with the def2-TZVPD basis set",
  "elements": ["N", "N", "N", "C", "O", "N", "H", "H", "H", "H", "H", "H"],
  "positions_angstrom": [[-0.205, 1.016, 0.632], [-0.379, 1.061, 1.936], [1.521, -1.241, -1.343], [0.522, -0.578, -0.750], [-1.843, 0.168, -0.366], [0.752, 0.183, 0.285], [-2.137, 0.921, -0.890], [-0.289, 0.194, 2.462], [-1.086, 1.719, 2.225], [1.336, -1.759, -2.184], [2.474, -1.120, -1.031], [-0.665, -0.565, -0.977]],
  "atomic_forces_ev_per_a": [[-0.2, 0.9, 0.2], [-0.3, -0.4, -0.7], [0.0, 0.0, 0.0], [-1.0, 0.5, 0.3], [-0.2, 0.0, 0.5], [0.2, -1.0, -0.3], [0.1, 0.0, 0.1], [0.1, 0.1, -0.1], [0.0, -0.1, -0.1], [0.1, 0.0, 0.2], [-0.2, 0.0, -0.2], [1.3, 0.0, 0.0]],
  "nbo_charge": [0.186, -0.532, -0.778, 0.230, -1.003, -0.415, 0.444, 0.365, 0.390, 0.403, 0.397, 0.313],
  "homo_lumo_gap_ev": [8.46, 8.45],
  "total_charge": 0,
  "largest_force_ev_per_a": 1.3,
  "e_above_lowest_ev": 4.900,
  "spin_multiplicity": 1,
  "e_tot_ha": -335.81654
}

[3]
{
  "formula": "CH6N4O",
  "method": "ωB97M-V with the def2-TZVPD basis set",
  "elements": ["C", "N", "N", "N", "N", "O", "H", "H", "H", "H", "H", "H"],
  "positions_angstrom": [[-8.196, -3.562, 7.710], [12.110, 5.453, -10.984], [-9.271, -3.724, 8.453], [12.556, 4.340, -10.917], [-9.989, -2.814, 7.704], [-8.765, -2.640, 6.978], [-6.680, -4.526, 7.085], [12.468, 6.171, -11.744], [-9.533, -4.241, 9.352], [13.335, 3.737, -11.493], [12.226, 3.696, -10.212], [-10.261, -1.889, 8.067]],
  "atomic_forces_ev_per_a": [[2.2, -2.3, -1.1], [0.0, 2.1, -1.0], [0.5, -1.7, 3.4], [2.8, -2.6, -1.8], [0.0, 0.3, -1.3], [0.1, 0.9, -1.4], [-3.4, 2.2, 1.6], [-0.2, -2.1, 1.3], [0.3, 0.9, -1.9], [-1.7, 2.5, 0.6], [-0.9, 0.2, 0.9], [0.3, -0.4, 0.7]],
  "nbo_charge": [0.467, -0.039, -0.422, -0.249, -0.060, -0.273, 0.393, 0.422, 0.486, 0.440, 0.426, 0.410],
  "homo_lumo_gap_ev": 9.47,
  "total_charge": 2,
  "largest_force_ev_per_a": 4.4,
  "e_above_lowest_ev": 2.471,
  "spin_multiplicity": 1,
  "e_tot_ha": -335.01796
}


Record 1
DFT (ωB97M-V/def2-TZVPD) results for C32H44CsNO4PSbSe4Te as an isolated structure in a non-equilibrium geometry.

Output
Electronic energy ... -328628.7163 eV
LUMO level ... 2.394 eV
E_HOMO ... -0.06 eV
Net charge ... -2
Orbital gap ... 2.450 eV

Geometry (Å):
1 H 6.157 -1.272 -0.118
2 C 5.557 -0.478 -0.642
3 C -1.193 -6.076 -3.158
4 H -2.733 -2.809 1.746
5 Sb 3.083 4.609 -2.463
6 H 3.277 -3.177 -3.672
7 H -0.663 -6.929 -2.738
8 H -0.601 -2.306 2.874
9 H -2.398 3.107 0.997
10 H 6.776 -0.698 -3.277
11 C -6.616 -0.449 4.431
12 C -3.318 1.292 -2.940
13 H 0.117 4.205 5.459
14 C 3.811 -1.818 -1.928
15 C -0.627 4.481 3.508
16 C 2.929 -2.260 -3.079
17 C -0.827 -2.186 -1.044
18 C -1.961 -2.393 -0.238
19 H 4.557 0.112 -2.554
20 H 4.634 3.791 5.582
21 C 4.003 3.769 4.701
22 O 1.637 -2.573 -2.460
23 H -6.081 1.349 0.727
24 H -2.408 -7.382 -4.332
25 H -5.840 -0.975 -2.583
26 H -2.864 4.284 2.221
27 C -0.843 -4.767 -2.813
28 C 0.220 3.730 4.487
29 C -2.409 -3.907 -4.400
30 C 4.956 -0.816 -2.048
31 H -7.497 1.089 1.929

• Request:
Retype the calculation results above without additions.

• Written answer:
[1]
{
  "formula": "CH6N4",
  "method": "ωB97M-V with the def2-TZVPD basis set",
  "elements": ["C", "N", "N", "N", "N", "H", "H", "H", "H", "H", "H"],
  "positions_angstrom": [[-1.092, -0.072, -1.016], [2.876, 0.225, 0.631], [-0.727, 0.452, 0.278], [-2.753, -0.766, 0.842], [-1.818, -0.184, 0.204], [-0.593, -0.922, -1.602], [2.824, 0.923, -0.124], [-1.559, 0.739, -1.603], [2.295, 0.538, 1.360], [3.928, 0.184, 0.903], [-3.381, -1.117, 0.126]],
  "atomic_forces_ev_per_a": [[-0.9, 0.7, -2.5], [3.2, -0.2, -1.5], [0.2, -0.4, 1.9], [0.7, 1.1, 0.1], [0.3, -1.4, -0.1], [-0.6, 1.1, 1.4], [0.0, -0.5, 0.5], [0.4, -0.8, -0.6], [-0.5, 0.5, 1.3], [-2.8, 0.2, -0.3], [0.0, -0.2, -0.1]],
  "nbo_charge": [-0.149, -1.080, -0.234, -0.465, 0.151, 0.199, 0.354, 0.169, 0.365, 0.360, 0.328],
  "homo_lumo_gap_ev": 10.35,
  "total_charge": 0,
  "largest_force_ev_per_a": 3.6,
  "e_above_lowest_ev": 3.780,
  "spin_multiplicity": 1,
  "e_tot_ha": -260.56290
}

[2]
{
  "formula": "CH6N4O",
  "method": "ωB97M-V with the def2-TZVPD basis set",
  "elements": ["N", "N", "N", "C", "O", "N", "H", "H", "H", "H", "H", "H"],
  "positions_angstrom": [[-0.205, 1.016, 0.632], [-0.379, 1.061, 1.936], [1.521, -1.241, -1.343], [0.522, -0.578, -0.750], [-1.843, 0.168, -0.366], [0.752, 0.183, 0.285], [-2.137, 0.921, -0.890], [-0.289, 0.194, 2.462], [-1.086, 1.719, 2.225], [1.336, -1.759, -2.184], [2.474, -1.120, -1.031], [-0.665, -0.565, -0.977]],
  "atomic_forces_ev_per_a": [[-0.2, 0.9, 0.2], [-0.3, -0.4, -0.7], [0.0, 0.0, 0.0], [-1.0, 0.5, 0.3], [-0.2, 0.0, 0.5], [0.2, -1.0, -0.3], [0.1, 0.0, 0.1], [0.1, 0.1, -0.1], [0.0, -0.1, -0.1], [0.1, 0.0, 0.2], [-0.2, 0.0, -0.2], [1.3, 0.0, 0.0]],
  "nbo_charge": [0.186, -0.532, -0.778, 0.230, -1.003, -0.415, 0.444, 0.365, 0.390, 0.403, 0.397, 0.313],
  "homo_lumo_gap_ev": [8.46, 8.45],
  "total_charge": 0,
  "largest_force_ev_per_a": 1.3,
  "e_above_lowest_ev": 4.900,
  "spin_multiplicity": 1,
  "e_tot_ha": -335.81654
}

[3]
{
  "formula": "CH6N4O",
  "method": "ωB97M-V with the def2-TZVPD basis set",
  "elements": ["C", "N", "N", "N", "N", "O", "H", "H", "H", "H", "H", "H"],
  "positions_angstrom": [[-8.196, -3.562, 7.710], [12.110, 5.453, -10.984], [-9.271, -3.724, 8.453], [12.556, 4.340, -10.917], [-9.989, -2.814, 7.704], [-8.765, -2.640, 6.978], [-6.680, -4.526, 7.085], [12.468, 6.171, -11.744], [-9.533, -4.241, 9.352], [13.335, 3.737, -11.493], [12.226, 3.696, -10.212], [-10.261, -1.889, 8.067]],
  "atomic_forces_ev_per_a": [[2.2, -2.3, -1.1], [0.0, 2.1, -1.0], [0.5, -1.7, 3.4], [2.8, -2.6, -1.8], [0.0, 0.3, -1.3], [0.1, 0.9, -1.4], [-3.4, 2.2, 1.6], [-0.2, -2.1, 1.3], [0.3, 0.9, -1.9], [-1.7, 2.5, 0.6], [-0.9, 0.2, 0.9], [0.3, -0.4, 0.7]],
  "nbo_charge": [0.467, -0.039, -0.422, -0.249, -0.060, -0.273, 0.393, 0.422, 0.486, 0.440, 0.426, 0.410],
  "homo_lumo_gap_ev": 9.47,
  "total_charge": 2,
  "largest_force_ev_per_a": 4.4,
  "e_above_lowest_ev": 2.471,
  "spin_multiplicity": 1,
  "e_tot_ha": -335.01796
}


Record 1
DFT (ωB97M-V/def2-TZVPD) results for C32H44CsNO4PSbSe4Te as an isolated structure in a non-equilibrium geometry.

Output
Electronic energy ... -328628.7163 eV
LUMO level ... 2.394 eV
E_HOMO ... -0.06 eV
Net charge ... -2
Orbital gap ... 2.450 eV

Geometry (Å):
1 H 6.157 -1.272 -0.118
2 C 5.557 -0.478 -0.642
3 C -1.193 -6.076 -3.158
4 H -2.733 -2.809 1.746
5 Sb 3.083 4.609 -2.463
6 H 3.277 -3.177 -3.672
7 H -0.663 -6.929 -2.738
8 H -0.601 -2.306 2.874
9 H -2.398 3.107 0.997
10 H 6.776 -0.698 -3.277
11 C -6.616 -0.449 4.431
12 C -3.318 1.292 -2.940
13 H 0.117 4.205 5.459
14 C 3.811 -1.818 -1.928
15 C -0.627 4.481 3.508
16 C 2.929 -2.260 -3.079
17 C -0.827 -2.186 -1.044
18 C -1.961 -2.393 -0.238
19 H 4.557 0.112 -2.554
20 H 4.634 3.791 5.582
21 C 4.003 3.769 4.701
22 O 1.637 -2.573 -2.460
23 H -6.081 1.349 0.727
24 H -2.408 -7.382 -4.332
25 H -5.840 -0.975 -2.583
26 H -2.864 4.284 2.221
27 C -0.843 -4.767 -2.813
28 C 0.220 3.730 4.487
29 C -2.409 -3.907 -4.400
30 C 4.956 -0.816 -2.048
31 H -7.497 1.089 1.929